• Source:
# BeSbH (PBE, optimized geometry)
data_BeSbH
_chemical_formula_sum 'Be2 Sb2 H2'
_cell_length_a 4.790
_cell_length_b 4.949
_cell_length_c 4.105
_cell_angle_alpha 90.00
_cell_angle_beta 90.00
_cell_angle_gamma 90.00
_space_group_name_H-M_alt 'P 1'
_space_group_IT_number 1
_space_group_name_Hall 'P 1'
loop_
_atom_site_label
_atom_site_fract_x
_atom_site_fract_y
_atom_site_fract_z
_atom_site_occupancy
H1 0.332 0.500 0.000 1
Be1 0.500 0.373 0.250 1
Sb1 0.209 0.000 0.500 1
Be2 0.500 0.627 0.750 1
Sb2 0.791 0.000 0.000 1
H2 0.668 0.500 0.500 1
# Distance to the lowest polymorph of the same formula = 0.070 eV/atom
# Space-group type = P222_1, No. 17
# Density of states at the Fermi level = 0.2 states/eV/cell

---

# Li6UO6 (PBE, optimized geometry)
data_Li6UO6
_chemical_formula_sum 'Li6 U1 O6'
_cell_length_a 5.484
_cell_length_b 5.484
_cell_length_c 5.484
_cell_angle_alpha 101.04
_cell_angle_beta 101.04
_cell_angle_gamma 101.04
_space_group_name_H-M_alt 'P 1'
_space_group_IT_number 1
_space_group_name_Hall 'P 1'
loop_
_atom_site_label
_atom_site_fract_x
_atom_site_fract_y
_atom_site_fract_z
_atom_site_occupancy
O1 0.100 0.731 0.731 1
O2 0.900 0.269 0.269 1
Li1 0.354 0.646 0.000 1
Li2 0.000 0.646 0.354 1
Li3 0.000 0.354 0.646 1
O3 0.269 0.269 0.900 1
O4 0.269 0.900 0.269 1
Li4 0.646 0.000 0.354 1
U1 0.000 0.000 0.000 1
Li5 0.354 0.000 0.646 1
O5 0.731 0.100 0.731 1
Li6 0.646 0.354 0.000 1
O6 0.731 0.731 0.100 1
# Space-group type = R-3m, No. 166
# Formation energy without anion corrections = -2.41 eV per atom
# Density of states at the Fermi level = 0.0 states/eV/cell

---

# CuAsPb (PBE, optimized geometry)
data_CuAsPb
_chemical_formula_sum 'Cu1 As1 Pb1'
_cell_length_a 4.552
_cell_length_b 4.552
_cell_length_c 4.552
_cell_angle_alpha 60.00
_cell_angle_beta 60.00
_cell_angle_gamma 60.00
_space_group_name_H-M_alt 'P 1'
_space_group_IT_number 1
_space_group_name_Hall 'P 1'
loop_
_atom_site_label
_atom_site_fract_x
_atom_site_fract_y
_atom_site_fract_z
_atom_site_occupancy
Pb1 0.000 0.000 0.000 1
Cu1 0.750 0.750 0.750 1
As1 0.500 0.500 0.500 1
# Distance to the lowest polymorph of the same formula = 0.144 eV/atom
# Space-group type = F-43m, No. 216
# Calculated formation energy = 0.1207 eV/atom
# Density of states at the Fermi level = 1.4 states/eV/cell

---

# Rb2AcSb2O7 (PBE, optimized geometry)
data_Rb2AcSb2O7
_chemical_formula_sum 'Rb2 Ac1 Sb2 O7'
_cell_length_a 4.170
_cell_length_b 4.170
_cell_length_c 11.844
_cell_angle_alpha 79.86
_cell_angle_beta 79.86
_cell_angle_gamma 90.00
_space_group_name_H-M_alt 'P 1'
_space_group_IT_number 1
_space_group_name_Hall 'P 1'
loop_
_atom_site_label
_atom_site_fract_x
_atom_site_fract_y
_atom_site_fract_z
_atom_site_occupancy
Ac1 0.000 0.000 0.000 1
O1 0.500 0.500 0.000 1
O2 0.421 0.921 0.159 1
O3 0.921 0.421 0.159 1
O4 0.321 0.321 0.358 1
Rb1 0.806 0.806 0.388 1
Rb2 0.194 0.194 0.612 1
Sb1 0.405 0.405 0.190 1
O5 0.679 0.679 0.642 1
O6 0.079 0.579 0.841 1
O7 0.579 0.079 0.841 1
Sb2 0.595 0.595 0.810 1
# Space-group type = I4/mmm, No. 139
# Formation energy without anion corrections = -1.92 eV per atom
# Density of states at the Fermi level = 1.9 states/eV/cell

---

# LiFe2Br (PBE, optimized geometry)
data_LiFe2Br
_chemical_formula_sum 'Li1 Fe2 Br1'
_cell_length_a 5.122
_cell_length_b 5.122
_cell_length_c 2.914
_cell_angle_alpha 90.00
_cell_angle_beta 90.00
_cell_angle_gamma 121.80
_space_group_name_H-M_alt 'P 1'
_space_group_IT_number 1
_space_group_name_Hall 'P 1'
loop_
_atom_site_label
_atom_site_fract_x
_atom_site_fract_y
_atom_site_fract_z
_atom_site_occupancy
Li1 0.500 0.000 0.500 1
Fe1 0.000 0.000 0.000 1
Br1 0.000 0.500 0.500 1
Fe2 0.500 0.500 0.000 1
# Distance to the lowest polymorph of the same formula = 0.566 eV/atom
# Space-group type = Cmmm, No. 65
# Formation energy without anion corrections = 0.58 eV per atom
# Density of states at the Fermi level = 3.9 states/eV/cell

---

# AcPmDy2Y5 (PBE, optimized geometry)
data_AcPmDy2Y5
_chemical_formula_sum 'Ac2 Pm2 Dy4 Y10'
• Brief:
Now copy the part of the entries above that starts with the line with "F-43m, No." and stops after the one with "Fe1 0.000".
• Result:
# Space-group type = F-43m, No. 216
# Calculated formation energy = 0.1207 eV/atom
# Density of states at the Fermi level = 1.4 states/eV/cell

---

# Rb2AcSb2O7 (PBE, optimized geometry)
data_Rb2AcSb2O7
_chemical_formula_sum 'Rb2 Ac1 Sb2 O7'
_cell_length_a 4.170
_cell_length_b 4.170
_cell_length_c 11.844
_cell_angle_alpha 79.86
_cell_angle_beta 79.86
_cell_angle_gamma 90.00
_space_group_name_H-M_alt 'P 1'
_space_group_IT_number 1
_space_group_name_Hall 'P 1'
loop_
_atom_site_label
_atom_site_fract_x
_atom_site_fract_y
_atom_site_fract_z
_atom_site_occupancy
Ac1 0.000 0.000 0.000 1
O1 0.500 0.500 0.000 1
O2 0.421 0.921 0.159 1
O3 0.921 0.421 0.159 1
O4 0.321 0.321 0.358 1
Rb1 0.806 0.806 0.388 1
Rb2 0.194 0.194 0.612 1
Sb1 0.405 0.405 0.190 1
O5 0.679 0.679 0.642 1
O6 0.079 0.579 0.841 1
O7 0.579 0.079 0.841 1
Sb2 0.595 0.595 0.810 1
# Space-group type = I4/mmm, No. 139
# Formation energy without anion corrections = -1.92 eV per atom
# Density of states at the Fermi level = 1.9 states/eV/cell

---

# LiFe2Br (PBE, optimized geometry)
data_LiFe2Br
_chemical_formula_sum 'Li1 Fe2 Br1'
_cell_length_a 5.122
_cell_length_b 5.122
_cell_length_c 2.914
_cell_angle_alpha 90.00
_cell_angle_beta 90.00
_cell_angle_gamma 121.80
_space_group_name_H-M_alt 'P 1'
_space_group_IT_number 1
_space_group_name_Hall 'P 1'
loop_
_atom_site_label
_atom_site_fract_x
_atom_site_fract_y
_atom_site_fract_z
_atom_site_occupancy
Li1 0.500 0.000 0.500 1
Fe1 0.000 0.000 0.000 1